by Mariani binti Abdul Razak
Did you experience waiting so long to be entertained by the service counter? Dealing with rude and snobbish staff? Poor accommodations and closed counter? These are some of the circumstances that might occur when we use or seek for services in the public sector. It may even occur in some private organizations. Others countries also face the same problems and good governance is needed in order to handle the complaints.
Many years back, I had experienced dealing with one agency that had made me wait more than 5 hours. Waiting is torture for me as time would move so slowly and it would make me tired and upset. However, I have no choice besides being patient and wait in order to get my errands done. When asked about the waiting time, the common answer is that “you will be entertained shortly”. The response causes me to become more upset and have the mind-set that the service industry will never change.
Yes, we understand the overload of customers that the public sector has to cater, but it is not an excuse for poor service. Most people will get frustrated when something does not meet their expectations. It becomes worse when the matter is brought upon social media and becomes viral. These days, this is the way people release their frustrations and anger towards something especially anything that involves services given by the public sector. Controlling your anger is a very crucial step to settle the problem in a diplomatic way.
The government has introduced various programmes and initiative to improve the delivery of public service as we are moving forwards to the fourth wave of industrial revolution. Innovation is the main ideology in improvising these services. Our government has a mechanism to handle public complaint in a systematic way. Public Complaint Bureau (PCB) has been given the responsibility and a big role to handle public complaint towards the public sector ministries and agencies (Aziz, 2016). According to (Laporan Tahunan Biro Pengaduan Awam, 2018) stated in year 2017 BPA received 5,386 complaint cases. About 636 complaints or 8.3% is come from ‘Rakyat Responz’ sources. Others come from multiple sources which linkage to BPA agency. Meanwhile breakdown for complaint classification which is 3,232 complaints equal to 60% is complaint against ministries and Federal Agencies. Another 40% equal to 2,154 complaints is against State Government Agencies.
PCB has not missed out on the latest technological advancements. As the public nowadays are moving forward by using technology in their daily lives especially with mobile phones as a gadget for many things such as reminders, calendar, camera, voice recordings and many other features, PCB had put an effort towards their initiative to build a mobile application called ‘Rakyat Responz’ in 2016 and rebranding it to ‘Respons Rakyat’ in 2019 with add on features. This application is also known as RR and can be downloaded on mobile phones via Apple apps Store and Google Store.[WN1] (Kannan & Babulal, 2019).
[1]
Computed, not measured: 3 unconnected molecules or ions with the total composition C33H59Cl2I3N5O6P2S at a distorted geometry, with ωB97M-V/def2-TZVPD.

## Properties
DFT total energy	-133662.471	eV
charge	+1

Each line ends with the Mulliken charge.
Geometry (Å):
C 0.9083 -5.4044 -1.9366  -1.6744
C -0.4116 -6.0872 -2.2327  -0.2630
I 0.0271 -7.9154 -3.2834  0.1669
C -1.6494 -5.6626 -1.8702  -1.3532
I -3.1196 -7.1698 -2.4055  0.1979
C -1.9007 -4.3010 -1.1634  2.1931
N -0.8474 -4.0785 -0.1450  -0.0249
C -0.5096 -5.0454 0.5297  0.6056
O -0.1674 -6.0016 1.1052  -0.4521
C -3.1892 -4.2618 -0.2157  -0.5561
N -3.7058 -5.5727 0.1196  -0.1226
P -2.9336 -3.4774 1.5649  0.3276
O -2.6898 -4.7983 2.5241  -0.4486
Cl -4.8539 -2.8430 2.1986  -0.2873
O -4.2811 -3.4993 -0.6689  -0.4143
C -4.0429 -2.1412 -1.0413  -0.5691
C -5.2514 -1.6866 -1.8884  -2.0149
C -2.6102 -1.8695 -1.6115  0.8014
Cl -1.6924 -1.1001 -0.2283  0.0691
C -2.6647 -0.6653 -2.5976  -0.9207
C -3.1138 0.6978 -1.9372  -1.4791
C -1.9714 1.7472 -1.8096  -0.3487
C -1.7492 2.2636 -0.3720  0.0311
C -0.7398 3.4650 -0.4594  -0.8640
C -1.4647 4.8492 -0.4162  -1.0212
C -1.5158 5.3222 1.0662  -0.6545
S -3.2627 5.5864 1.5582  -0.2657
C -3.6739 4.2952 2.6873  0.6282
N -4.7084 3.5751 2.4814  -0.3175
N -4.7498 2.7005 3.5412  -0.3508
C -3.7652 2.9408 4.2874  0.0063
O -3.0046 3.9531 3.7936  -0.2918
N -1.9150 -3.1166 -2.1462  0.4854
C -0.6044 -2.8306 -2.7997  -1.2679
C 0.5232 -2.0083 -2.1389  -0.9359
O 1.0682 -2.1625 -1.1122  -0.1913
I 1.3464 -0.3313 -3.3016  0.0026
P -2.9162 -3.4428 -3.7656  0.0456
C -4.4673 -4.3701 -3.5426  -1.1967
O -2.0311 -4.5281 -4.6703  -0.3564
H 1.4876 -6.0530 -1.2621  0.4977
H 0.9136 -4.4064 -1.5126  0.1551
H 1.5030 -5.3774 -2.8625  0.5241
H -3.0180 -6.1849 0.5418  0.3969
H -4.5053 -5.4701 0.7358  0.3742
H -2.7076 -4.5054 3.4453  0.3757
H -4.1492 -1.5369 -0.1323  0.8003
H -5.1063 -1.6675 -2.9701  0.3895
H -6.0962 -2.3444 -1.6610  0.4493
H -5.5447 -0.6750 -1.5922  0.4474
H -1.6841 -0.4133 -3.0208  0.3393
H -3.3208 -0.7779 -3.4582  0.5990
H -3.8208 1.1646 -2.6387  0.4315
H -3.6883 0.5692 -1.0172  0.5867
H -1.0017 1.3824 -2.1651  -0.1587
H -2.2110 2.6346 -2.4107  0.4677
H -2.6736 2.6003 0.1150  0.2028
H -1.2716 1.5290 0.2853  0.1697
H -0.1983 3.3463 -1.4095  0.4061
H 0.0246 3.3632 0.3206  0.2956
H -2.4494 4.7061 -0.8732  0.5798
H -0.9026 5.5381 -1.0570  0.4816
H -0.9824 6.2721 1.1510  0.3019
H -1.0619 4.5600 1.7024  0.4333
H -3.5686 2.4083 5.2039  0.4315
H -0.8183 -2.2517 -3.7105  1.3557
H -0.1198 -3.7055 -3.2422  1.0474
H -4.7189 -4.8344 -2.5887  0.3507
H -5.2897 -3.6852 -3.7910  0.4375
H -4.5521 -5.1640 -4.2966  0.4040
H -1.8069 -3.9983 -5.4496  0.4397
C 2.5287 -3.5312 1.4930  -0.2247
C 3.8687 -3.3215 0.7952  -0.2192
C 5.0389 -3.1768 1.7665  -0.9919
C 4.9552 -1.9674 2.6997  -0.7299
C 4.8422 -0.6142 1.9976  -0.1517
C 6.0501 -0.2829 1.1270  -1.2235
H 2.2610 -2.6780 2.1182  0.2558
H 1.7344 -3.6582 0.7523  -0.4650
H 2.5518 -4.4242 2.1223  0.4232
H 3.8063 -2.4521 0.1345  0.0846
(The page goes on)
The Respons Rakyat apps can be download with the link:

What is so special about RR? Will our complaints be entertained? How fast is the response time? Just relax and stay for more input about RR. Many of us are probably not aware of this application within the marketplace and do not know the right channel to lodge a complaint. By using RR, the public can lodge a complaint by just a click on their mobile phones no matter the place or time. It also caters to all public sector agencies.
I would like to share the benefits of this application. RR comes with great functionalities where you can put upload pictures, video recordings and voice notes as an attachment for the complaint. The files that are uploaded become an evidence to the complaint that is made and can be forwarded immediately. This is helpful for the investigation process later on and is used to cancel out fake complaints. The important thing is, this application also allows the complainant to track down the status of their complaints easily the chronology of action and any feedback can be reviewed by the complainant himself through the application. (Kannan & Babulal, 2019)
Nowadays, work process has changed and the public sector are more concerned towards achieving an excellent service for the nation. As I said before, I did not believe that complaints are able to change the public service industry. However today, it is true that our complaint is important and needs to be addressed properly. Complainants can help improve the quality of service by lodging a complaint to make sure the administration gets alerted with their weaknesses in serving the public.
I would like to advice the public to use a proper channel to make a complaint and not by make it viral without cause. This will only worsen the situation and does not bring any benefit to the customers as well as the agency. It only takes a second for you to address your concern by using the RR application on your mobile phone.
Furthermore, with the application, we don’t have to worry whether actions are taken on the complaint as we are able to monitor is ourselves. The application is made for two-way communication which is why we can ask for the administration to give a feedback as promised on their customer guideline.
Every problem comes with a solution. Complaints are not a burden anymore to the government, but it is a gift for improvement and to move forward for a better service. RR apps is one of the methods made for people to ensure they have a response for each complaint had been made to PCB. Just as simple 1, 2, 3 you can download the RR apps and using it right now.
Aziz, F. (2016, May 17). Got a complaint?Download the ‘Rakyat Responz’App and get it fixed within 15 days. Retrieved from New Straits Time:
Kannan, H. K., & Babulal, V. (2019, July 18). PM launches ‘Respons Rakyat 2.0’ mobile application. New Straits Time. Retrieved from The New Straits Time:
Laporan Tahunan Biro Pengaduan Awam. (2018). Putrajaya: Biro Pengaduan Awam.